Leonid ''Lev'' Viktorovich Kravchenko (20 March 1922 - 5 September 1986) was a Colonel of the Soviet Union's Soviet Airborne Troops and was the right-hand man of General Nikita Dragovich during the Cold War, later serving with the KGB and commanding Russian troops in the Soviet-Afghan War. He was killed in the Battle of Khost in 1986 with the Mujahideen.
Early life[]
Lev Viktorovich Kravchenko was born on March 20, 1922, in the city of Petrograd in the Russian SFSR of the Soviet Union as Leonid. An amoral man with intense bloodlust, he served under Nikita Dragovich in the 3rd Shock Army during World War II and was blooded during the intense 1942-1943 Battle of Stalingrad in central Russia. In the war, he became known as Dragovich's adjutant and called his "lapdog" by fellow soldier Viktor Reznov, who developed a rivalry with Dragovich and Kravchenko due to their refusal to send reinforcements to him during the battle in the Red Square of Stalingrad.
[Here the page breaks off for data records]
┌──
[1]
NdNb2Ir2 GGA-PBE relaxed; DOS at the Fermi energy = 2.2 states/eV/cell; ΔE_f = -543 meV per atom; E = -9.069 eV/atom; size of the total moment = 0.00 μB/f.u.
1.0
4.483 0.000 0.000
0.000 4.483 0.000
-2.242 -2.242 5.270
Nd Nb Ir
1 2 2
Cartesian
0.000 0.000 0.000
2.242 0.000 2.635
0.000 2.242 2.635
0.000 0.000 3.942
2.242 2.242 1.328

---

[2]
Nd2NbSi3Ir4 GGA-PBE relaxed; DOS at the Fermi energy = 6.4 states/eV/cell; E = -8.065 eV/atom; size of the total moment = 0.00 μB/f.u.
1.0
-2.473 -2.116 2.604
3.098 -2.680 0.764
3.221 5.982 7.920
Ir Nd Si Nb
4 2 3 1
Cartesian
0.000 0.000 0.000
2.702 0.800 3.216
0.313 -2.398 1.684
0.832 2.784 6.388
3.993 3.198 6.391
-0.459 0.386 3.213
1.949 -0.597 1.366
1.584 4.181 8.238
1.610 2.991 3.960
1.923 0.593 5.644

---

[3]
NdTaNbIr2 GGA-PBE relaxed; DOS at the Fermi energy = 2.4 states/eV/cell; ΔE_f = -576 meV per atom; E = -9.458 eV/atom; size of the total moment = 0.00 μB/f.u.
1.0
4.472 0.000 0.000
0.000 4.472 0.000
-2.236 -2.236 5.290
Ir Nb Nd Ta
2 1 1 1
Cartesian
2.236 2.236 1.332
0.000 0.000 3.958
2.236 0.000 2.645
0.000 0.000 0.000
0.000 2.236 2.645

---

[4]
NbNiIr GGA-PBE relaxed; DOS at the Fermi energy = 8.9 states/eV/cell; ΔE_f = -384 meV per atom; E = -8.621 eV/atom; size of the total moment = 0.00 μB/f.u.
1.0
-2.085 1.922 -3.284
-2.273 0.532 1.754
5.585 12.136 3.557
Nb Ir Ni
4 4 4
Cartesian
4.675 10.159 2.977
2.417 8.479 0.561
-1.512 2.676 -0.340
0.746 4.356 2.076
2.213 10.770 2.032
-1.119 0.303 0.888
2.810 6.105 1.789
0.557 4.436 -0.624
0.373 6.773 0.861
0.944 2.051 0.601
2.600 8.385 3.257
4.302 12.575 1.762


Below is an optimized crystal structure of KTa2Zn, with properties calculated at the PBE-GGA level.

Computed properties:
As for the symmetry: Cm, No. 8. The density of states at the Fermi level is 2.9 states/eV/cell. The formation energy is 297 kJ/mol of formula units. Its calculated volume is 25.727 A^3/atom.

The structure in POSCAR format:
```
KTa2Zn
1.0
5.170 0.008 0.038
4.366 2.769 0.038
0.890 0.259 7.214
Ta Zn K
2 1 1
Cartesian
8.019 2.335 5.785
1.070 0.311 6.256
4.946 1.440 4.136
2.495 0.726 1.971
```


VASP calculation (PBE) on crystalline OsI3O at its relaxed geometry.

Calculated volume = 30.0 Å³ per atom
Total energy = -4.40 eV per atom
Mass density = 6.5 g cm⁻³

Cell lengths 12.7013, 12.7013, 3.7152 Å; angles 90.00, 90.00, 90.00 degrees
Closest atoms and distances in Å follow each position.
Fractional coordinates of all 20 atoms:
1 O 0.8886 0.1114 0.0000  2 Os 1.86
2 I 0.6033 0.3967 0.0000  2 Os 2.74
3 O 0.6114 0.6114 0.5000  2 Os 1.86
4 I 0.3967 0.6033 0.0000  2 Os 2.74
5 I 0.8894 0.3255 0.5000  1 Os 2.71
6 I 0.6745 0.1106 0.5000  1 Os 2.71
7 Os 0.8878 0.1122 0.5000  2 O 1.86
8 O 0.3886 0.3886 0.5000  2 Os 1.86
9 I 0.6106 0.8255 0.0000  1 Os 2.71
10 I 0.1106 0.6745 0.5000  1 Os 2.71
11 I 0.3255 0.8894 0.5000  1 Os 2.71
12 I 0.8967 0.8967 0.5000  2 Os 2.74
13 Os 0.6122 0.6122 0.0000  2 O 1.86
14 O 0.1114 0.8886 0.0000  2 Os 1.86
15 I 0.1745 0.3894 0.0000  1 Os 2.71
└──
[The data records stop here]
Project Nova[]
After the war, Kravchenko served under Dragovich in Unit 45, a special project group created by Joseph Stalin to question the Nazis about their war effort and search for advanced weaponry that they may have hidden from them. The weapon Nova 6, a chemical agent, was revealed to have been shipped in a large transport ship to a Nazi holdout base in the Arctic Circle, so Kravchenko participated in the assault on the outpost along with Dragovich, Viktor Reznov, and other former 3rd Shock Army troops. They were able to retrieve the Nova 6 but their plot to kill Reznov and other internal enemies of their project failed when British commandos stormed the ship and a three-way battle began; Reznov and two others escaped the ship. Kravchenko and Dragovich returned to the USSR with the Nova 6, and they formulated a plan called "Project Nova" in which they could threaten the United States with the Nova 6 weapon.
Further activities[]
In the years between 1945 and 1961, Kravchenko climbed the ranks of the Soviet armed forces and was sent to Cuba along with Dragovich to gain an alliance with Cuba's Prime Minister Fidel Castro to operate in his territory. The CIA organized an initiative in November 1963 to assassinate Dragovich, Kravchenko, and Doctor Friedrich Steiner, along with the "Ascension" group of former Nazi scientists who worked on Project Nova for the Soviets, and sent anMACV-SOG group to Baikonur Cosmodrome on 17 November to kill Kravchenko, Dragovich, and the Ascension Nazi scientists who were overseeing the launch of two Soyuz rockets working on the Soviet space project. The team shot down a Soyuz rocket to punch holes in the Soviet space program and tried to kill Kravchenko and Dragovich, and they nearly killed Dragovich by destroying his limousine, but they could not confirm the kill.
Actions in Indochina[]
~~~
No. 1
SrCu3Si after structural relaxation, computed with PBE-GGA.

Unit cell a=4.582 b=4.582 c=4.582 alpha=90.00 beta=90.00 gamma=90.00
Sites, in units of the cell vectors:
Sr  0.500  0.500  0.500
Si  0.000  0.000  0.000
Cu  0.000  0.500  0.000
Cu  0.000  0.000  0.500
Cu  0.500  0.000  0.000

Calculated values
Its uncorrected energy is -19.58 eV per cell. The density of states at the Fermi level comes out at 0.391 states/eV/atom. As for the space group: No. 221. The energy above the most stable polymorph in this dataset is 3.45 kcal/mol of atoms.

No. 2
SrCu6Si4 after structural relaxation, computed with PBE-GGA.

Unit cell a=3.986 b=6.842 c=6.842 alpha=120.00 beta=90.00 gamma=90.00
Sites, in units of the cell vectors:
Sr  0.000  0.000  0.000
Cu  0.000  0.537  0.073
Cu  0.500  0.584  0.792
Cu  0.000  0.537  0.463
Cu  0.000  0.927  0.463
Cu  0.500  0.208  0.792
Cu  0.500  0.208  0.416
Si  0.500  0.797  0.593
Si  0.500  0.407  0.203
Si  0.500  0.797  0.203
Si  0.000  0.333  0.667

Calculated values
Its uncorrected energy is -49.42 eV per cell. The density of states at the Fermi level comes out at 0.333 states/eV/atom. As for the space group: No. 187.

No. 3
Sr2Cu3Si2 after structural relaxation, computed with PBE-GGA.

Unit cell a=4.016 b=6.032 c=7.214 alpha=120.09 beta=90.00 gamma=109.44
Sites, in units of the cell vectors:
Sr  0.868  0.736  0.244
Sr  0.132  0.264  0.756
Cu  0.500  0.000  0.000
Cu  0.660  0.319  0.416
Cu  0.340  0.681  0.584
Si  0.863  0.726  0.795
Si  0.137  0.274  0.205

Calculated values
Its uncorrected energy is -28.10 eV per cell. The density of states at the Fermi level comes out at 0.486 states/eV/atom. As for the space group: No. 12.

No. 4
SrCu3Si after structural relaxation, computed with PBE-GGA.

Unit cell a=5.205 b=5.205 c=5.205 alpha=90.00 beta=90.00 gamma=90.00
Sites, in units of the cell vectors:
Sr  0.000  0.000  0.000
Si  0.500  0.500  0.500
Cu  0.000  0.500  0.000
Cu  0.000  0.000  0.500
Cu  0.500  0.000  0.000

Calculated values
Its uncorrected energy is -11.11 eV per cell. The density of states at the Fermi level comes out at 0.655 states/eV/atom. As for the space group: No. 221. The energy above the most stable polymorph in this dataset is 42.51 kcal/mol of atoms.

No. 5
SrCu9Si2 after structural relaxation, computed with PBE-GGA.

Unit cell a=6.482 b=7.927 c=7.927 alpha=80.38 beta=65.87 gamma=65.87
Sites, in units of the cell vectors:
Sr  0.500  0.000  0.000
Sr  0.250  0.500  0.500
Cu  0.750  0.500  0.500
Cu  0.000  0.000  0.000
Cu  0.023  0.918  0.670
Cu  0.611  0.082  0.330
Cu  0.691  0.170  0.582
Cu  0.443  0.830  0.418
Cu  0.727  0.830  0.582
Cu  0.139  0.170  0.418
Cu  0.059  0.918  0.330
Cu  0.307  0.082  0.670
Cu  0.727  0.582  0.830
Cu  0.139  0.418  0.170
Cu  0.059  0.330  0.918
Cu  0.307  0.670  0.082
Cu  0.023  0.670  0.918
Cu  0.611  0.330  0.082
Cu  0.691  0.582  0.170
Cu  0.443  0.418  0.830
Si  0.875  0.250  0.750
Si  0.875  0.750  0.250
Si  0.875  0.250  0.250
Si  0.375  0.750  0.750
~~~
Five years later in 1968 during the Vietnam War, Kravchenko was sent to Vietnam to supervise the Soviet Spetsnaz special forces' activities in Vietnam, Laos, and Cambodia and tested Nova 6 against locals, American troops, and at times his own men. The SOG caught up to him at his compound in the jungle on the Laos-Vietnam border and nearly killed him, with SOG soldier Frank Woods jumping with Kravchenko out of a window, knocking the two unconscious. Kravchenko awoke first, capturing Woods; he was held in the Hanoi Hilton and Da Nang until 1972, when he escaped. The CIA was informed that Kravchenko was still active, with the CIA keeping tabs on him and his activities.
Kravchenko was without a superior after Dragovich was killed on 23 February 1968 in an assault on the Soviet numbers station under the Gulf of Mexico. As a result, he was considered a mad dog by the USSR, though they utilized his skills by transferring him to the KGB in 1981. He assisted the Interior Ministry official Imran Zakhaev with his investigations into a mole in the Lubyanka. The mole, Major Dimitri Belikov, framed General Anton Charkov by passing Belikov's communication with the CIA as Charkov's, giving the information to Kravchenko. Charkov was then taken to the prison under the Lubyanka, though Belikov was eventually revealed to be the true mole.
Kravchenko soon became disillusioned with the Soviet Union, beginning to sell Soviet weapons to Cuba, Angola, and the Third World as the USSR declined. By 1986, he worked with crime lord Raul Menendez in Nicaragua and sold him guns to help revolutions in Africa and the rest of the world. He was stationed in Afghanistan at the time, charged with eliminating Mujahideen strongholds around the country, and soon, the CIA and Guoanbu sent agents to Khost Province to receive information on Menendez from Mullah Rahmaan: the CIA sent Mason, Woods and Hudson, while the Guoanbu sent Tian Zhao.

Kravchenko's execution
On 5 September 1986, Kravchenko led an attack on Khost on the Afghan-Pakistan border with heavy tanks, helicopters, and infantry, and the Mujahideen struggled to fight off the Russians. Mason and Woods captured Kravchenko after destroying his tank and took him to the Mujahideen camp for interrogation. They found out about Kravchenko's black market activities and that he had people in the CIA, before Frank Woods shot him in the head.